A first version of our Product Constitution

The opportunity opened by Large Language Models (LLMs) is vast. It’s allowed the birth of Dust, an AI-native company that wants to make work “work better” for smart teams. Deciding on a product constitution to guide what Dust would focus on in the vast space of possible directions was important to us. It will will help us decide locally more effectively. We look forward to continuously improving this first version we’re sharing here.
Lessons from lives past
Most of our early careers were spent in smaller teams, including our own at a company Stan and I founded in 2011.
With a few motivated humans around a table, very little is required for things to “work”. Informal processes and decisions were often enough, and many different forms of artisanal collaboration were valid options. you just got it done, and if anything needed adjusting, you adjusted there and then.
We’d heard that things got significantly worse as teams got bigger. That said, with experiences at companies like Stripe or Alan, we’d been fortunate enough to see that some companies make a deliberate effort to challenge some of the seemingly inevitable decay in collaboration that teams experience as they grow.
There seemed to be ways to make things “work better”, but it wasn’t clear what. A strong culture? Enshrined operating principles that you cover how to work and what to work on? Many team members that had themselves been founders? Dependency on transparent, written communication? All of the above?
Great companies seem to be places where great people feel excited to do great work. Could those initial conditions be productised?
A new world of opportunity
Excited by the idea of making work “work better” for teams, various early prototypes explored how members of a team could be encouraged to collaborate in a way that help information flow more effectively and better decisions get made faster.
That said, in 2020 and 2021 nothing really clicked enough. It wasn’t clear what would be the “10x better” in these prototypes. Software that strongly encourages or frankly coerces users into one behaviour or another seemed like it was repeating the patterns of software solutions of the past, simply with our preferences baked in instead of others’.
The emergence of Large Language Models (LLMs) over the past years really opened up a work of opportunity in that regard. For what seemed to be the first time:
- Plain English became a programming language, meaning than most humans would eventually be able to ask software to act exactly as they wanted it to regardless of technical ability;
- “Write” and “Read” could be separated. How information was contributed by an author could be processed and adapted before being consumed by a reader*;***
- Software could take a shot at more complex and poorly defined tasks. The emergence of agents with multimodal interaction capabilities opened the doors of more boring tasks being taken on by machines, and more time for humans to focus on what they got up in the morning to do.
LLMs looked like the disruption we’d been hoping for.
Early in 2022, it seemed that LLMs were moving from a “research mostly” to a “product mostly” problem space, with the development of novel interfaces and experiences at stake. What’s more, the “bigger is better” paradigm of LLMs that still holds today made it less clear what the advantage of re-developing models from scratch would be in the short term. Thus, as an AI-native company and with a profound desire to innovate in the application layer to make work “work better”, Dust was born.
The technology at the heart of this disruption, like any powerful technology, could be wielded in a dizzying number of directions, some more desirable than others to us. Some of the questions that we were asking ourselves or that we were getting asked by our community shed a harsh light on these directions:
- Would AI be used to replace humans?
- Could anything enduringly valuable still be built, if a few very large companies built the largest models? How would differentiation play out among companies deciding to focus on the “application layer” above foundation models?
- Would AI be an advantage for new companies or incumbents’ products? After all, the mobile era gave us a more powerful Salesforce, not a mobile replacement to Salesforce.
- What was the deal with hallucinations, anyway? Were they just part of the cost of doing business in this brave new world?
- Should we build tools for ML engineers? For software developers? For anyone?
“To chose is to renounce”, as André Gide elegantly phrased, and we needed to clarify, for ourselves, our users, and anyone deciding to join our team, which directions to explore on Dust’s long road ahead.
And so, we wrote the first version of Dust’s Product Constitution.
Product Constitution (as of May 2023)
Dust choses the following to guide product decisions:
Augmenting humans, not replacing them. We're optimistic about making work life better for smart people. We're building R2-D2, not Terminator.
Focusing on the upside. There's so much machines can help with, and we'd rather focus on increasing the upside rather than cutting costs.
Investing in craftsmanship over chatbots, hard problems over hype. There's a little more to great products and experiences than wrapping GPT-4 API calls into a chat UI. We're in this to solve hard problems at hand on user experience and product quality.
Building with an AI core. Being an LLM-native company, we're building with large language models in mind from the ground up, rather than sprinkling them here and there.
(What comes next are records of crystals, not part of the entry)
____________
No. 1
This record from the Alexandria database describes a geometry-optimized NdErTaN3 structure. The functional is PBE-GGA.

Unit cell a=6.572 b=3.347 c=9.478 alpha=90.00 beta=95.64 gamma=90.00
Sites, in units of the cell vectors:
Nd (0.203, 0.250, 0.242)
Nd (0.797, 0.750, 0.758)
Er (0.341, 0.750, 0.885)
Er (0.659, 0.250, 0.115)
Ta (0.143, 0.250, 0.580)
Ta (0.857, 0.750, 0.420)
N (0.115, 0.250, 0.787)
N (0.198, 0.750, 0.466)
N (0.399, 0.750, 0.122)
N (0.601, 0.250, 0.878)
N (0.802, 0.250, 0.534)
N (0.885, 0.750, 0.213)

Size of the total moment   0.0000 μB/atom
E_tot   -8.802 eV/atom
ρ   8.55 g cm⁻³
Uncorrected formation energy   -1109 meV/atom



No. 2
This record from the Alexandria database describes a geometry-optimized NdEr2TaN4 structure. The functional is PBE-GGA.

Unit cell a=6.207 b=6.207 c=12.040 alpha=90.00 beta=90.00 gamma=148.27
Sites, in units of the cell vectors:
Nd (0.100, 0.900, 0.750)
Nd (0.900, 0.100, 0.250)
Er (0.371, 0.629, 0.534)
Er (0.371, 0.629, 0.966)
Er (0.629, 0.371, 0.034)
Er (0.629, 0.371, 0.466)
Ta (0.161, 0.839, 0.250)
Ta (0.839, 0.161, 0.750)
N (0.000, 0.000, 0.000)
N (0.000, 0.000, 0.500)
N (0.259, 0.741, 0.120)
N (0.259, 0.741, 0.380)
N (0.441, 0.559, 0.750)
N (0.559, 0.441, 0.250)
N (0.741, 0.259, 0.620)
N (0.741, 0.259, 0.880)

Size of the total moment   0.0000 μB/atom
E_tot   -8.699 eV/atom
ρ   9.74 g cm⁻³
Uncorrected formation energy   -1318 meV/atom



No. 3
This record from the Alexandria database describes a geometry-optimized TbNdErN3 structure. The functional is PBE-GGA.

Unit cell a=6.040 b=3.516 c=9.084 alpha=90.00 beta=101.80 gamma=90.00
Sites, in units of the cell vectors:
Tb (0.231, 0.250, 0.455)
Tb (0.769, 0.750, 0.545)
Nd (0.347, 0.750, 0.803)
Nd (0.653, 0.250, 0.197)
Er (0.148, 0.750, 0.140)
Er (0.852, 0.250, 0.860)
N (0.036, 0.250, 0.656)
N (0.244, 0.250, 0.010)
N (0.458, 0.750, 0.331)
N (0.542, 0.250, 0.669)
N (0.756, 0.750, 0.990)
N (0.964, 0.750, 0.344)

Size of the total moment   0.0000 μB/atom
E_tot   -7.917 eV/atom
ρ   9.01 g cm⁻³
Uncorrected formation energy   -1427 meV/atom



No. 4
This record from the Alexandria database describes a geometry-optimized NdEr2TcN4 structure. The functional is PBE-GGA.

Unit cell a=6.074 b=6.074 c=11.517 alpha=90.00 beta=90.00 gamma=147.03
Sites, in units of the cell vectors:
Nd (0.122, 0.878, 0.750)
Nd (0.878, 0.122, 0.250)
Er (0.369, 0.631, 0.540)
Er (0.369, 0.631, 0.960)
Er (0.631, 0.369, 0.040)
Er (0.631, 0.369, 0.460)
Tc (0.141, 0.859, 0.250)
Tc (0.859, 0.141, 0.750)
N (0.000, 0.000, 0.000)
N (0.000, 0.000, 0.500)
N (0.263, 0.737, 0.126)
N (0.263, 0.737, 0.374)
N (0.441, 0.559, 0.750)
N (0.559, 0.441, 0.250)
N (0.737, 0.263, 0.626)
N (0.737, 0.263, 0.874)

Size of the total moment   0.0000 μB/atom
E_tot   -8.313 eV/atom
ρ   9.09 g cm⁻³
Uncorrected formation energy   -1118 meV/atom



Question: What is the uncorrected formation energy in the fourth record?
____________
Being Safe and Sound. Your data's sensitive, and you can't just accept “making things up” as a standard. Our North Star lies between Factualness, Safety, and Security. We aspire to define standards in this respect rather than simply abide by the existing ones.
Focusing on tinkerers, striving to be useful to everyone. We make tools with the makers in mind. Those who want to bend software to their will deserve a way to do it and are our core audience, and not all are developers. We'll work hard to make users happy with or without technical know-how.
A work in perpetual progress
As we continue to discovery and engineer new and meaningful ways for teams to get better work done together, we fully expect to also iterate on the Constitution above. After all, what’s a good Constitution if it can’t handle a few amendments?
We look forward to sharing more with you as we grow, learn, and build!